Article published on 12 January 2024
last modification on 7 March 2025

Yellow fever is an acute infectious disease which flares up with dreadful epidemics. It mostly targets the liver and kidneys. Jaundice, fever, hemorrhages (mostly nose and gum bleedings), rarefaction or discontinuation of the urine output are the most characteristic symptoms of it.

The amaril virus is the pathogen which is involved in Yellow fever and it is transmitted to man through a mosquito bite. In fact this is a disease that affects monkeys which live in forests and in the wilderness of Sub Saharan Africa and of tropical America, these are the only places where this disease is rife.

No specific therapy is so far available and whenever a patient survives, he is permanently immune to the disease and this explains why vaccination is such an efficacious one.

# Molecular data, kept here for reference
=====
A molecular structure, CH2ClPS. Source: the Open Molecules 2025 dataset; level of theory: wB97M-V/def2-TZVPD.

```
6
Properties=species:S:1:pos:R:3:forces:R:3
C 1.1777 -0.0549 0.0836 0.50 -1.60 -0.90
P -0.4637 -0.2723 -0.2447 1.93 -0.22 0.22
S -3.0772 -1.0019 -0.0125 0.26 -0.31 -0.04
Cl -1.2662 1.5244 -0.0226 -0.38 1.38 0.31
H 1.8342 0.7762 0.4533 -1.23 -0.59 -0.47
H 1.7952 -0.9714 -0.2571 -1.09 1.33 0.88
```
Positions in Å, forces in eV/Å.

HOMO (spin up / spin down) = -9.54 / -9.53 eV
LUMO level (spin up / spin down) = -2.49 / -2.39 eV
E = -33712.25616 eV
Relative energy (zero: lowest compared OMol25 entry of this formula, charge and spin) = 89.18 kcal per mole
HOMO-LUMO gap (spin up / spin down) = 7.053 / 7.145 eV

=====

No. 1
C11H17NOW | ωB97M-V with the def2-TZVPD basis set

Structure (XYZ):
```
31
Properties=species:S:1:pos:R:3
C -1.176 2.090 -1.601
C 0.260 2.012 -1.602
C 0.729 2.338 -0.283
C -0.421 2.596 0.543
C -1.599 2.426 -0.267
W -0.495 0.409 -0.169
C 0.170 -0.837 -1.849
C -1.237 -1.210 -2.035
C -1.900 -1.821 -3.040
N -2.047 -0.634 -0.744
H 1.769 2.439 0.013
H 0.892 1.815 -2.458
H -0.403 2.932 1.573
H -2.619 2.593 0.058
H -1.822 1.980 -2.464
H 0.630 -0.354 -2.714
H -3.018 -0.906 -0.675
H 0.798 -1.631 -1.422
H -1.332 -2.082 -3.931
H -2.960 -2.061 -2.978
C 2.563 -0.820 1.822
C 1.070 -1.083 1.887
C 0.618 -1.462 3.287
O 0.371 0.097 1.498
H 2.830 -0.005 2.507
H 2.878 -0.534 0.813
H 3.120 -1.716 2.111
H 0.815 -1.900 1.191
H 0.832 -0.648 3.990
H -0.456 -1.663 3.312
H 1.140 -2.361 3.627
```

Results
Max |F| = 4.11 eV Å⁻¹
LUMO energy (spin up / spin down) = 0.7933 / 0.4039 eV
Multiplicity = 3
Orbital gap (spin up / spin down) = 6.88 / 8.53 eV
HOMO (spin up / spin down) = -0.224 / -0.299 Ha

No. 2
CH4Cl2OSi | ωB97M-V with the def2-TZVPD basis set

Structure (XYZ):
```
9
Properties=species:S:1:pos:R:3
C 1.082 0.745 -0.096
Si -0.462 0.051 -0.993
O -1.280 -0.927 -0.235
Cl -0.720 0.344 -2.981
H 1.875 0.744 -0.872
H 1.064 1.663 0.537
H 1.323 -0.114 0.506
Cl -1.680 -1.391 2.663
H -1.202 -1.116 1.470
```

Results
Max |F| = 2.73 eV Å⁻¹
Structure (SMILES) = C[Si](=O)Cl.Cl
LUMO energy = -0.4096 eV
Orbital gap = 10.18 eV
HOMO = -0.389 Ha
Relative energy (zero: lowest compared OMol25 entry of this formula, charge and spin) = 261.81 kJ/mol

No. 3
C4H8NOS | ωB97M-V with the def2-TZVPD basis set

Structure (XYZ):
```
15
Properties=species:S:1:pos:R:3
C 0.344 -0.023 -1.300
C 1.410 -0.791 -1.629
C 0.544 -1.864 0.634
C -0.351 1.140 0.820
N -0.290 -0.116 0.036
O -1.101 2.063 0.039
S 2.082 -1.810 -0.310
H 0.049 0.881 -1.605
H 2.069 -0.864 -2.516
H 0.650 -2.060 1.710
H -0.106 -2.648 0.101
H -0.673 0.955 1.762
H 0.678 1.552 0.893
H -1.253 -0.344 0.007
H -1.707 2.525 0.564
```

Results
Net charge = +1
Max |F| = 4.99 eV Å⁻¹
LUMO energy = -4.9095 eV
Orbital gap = 8.70 eV
HOMO = -0.500 Ha
Relative energy (zero: lowest compared OMol25 entry of this formula, charge and spin) = 285.62 kJ/mol

No. 4
C4H7O3 | ωB97M-V with the def2-TZVPD basis set

Structure (XYZ):
```
14
=====

Medical officers of the Colonial Medical Corps were confronted to yellow fever and had to endure its scary epidemics. With the help of their native co-workers they intervened in the field of action and also in the Overseas Pasteur Institutes laboratories and especially in Dakar.

 These practical experienced men identified the disease, detected it, provided care to those who were sick and helped to prevent it.

 They took a part in shedding light on the role of mosquitoes and in the isolation of the amaril virus.

 They improved the way of diagnosing the disease in their labs.

 They developed an efficacious vaccine and made all necessary arrangements for its production.

 They kept watching out for the amaril risk in Sub Saharan Africa and in Tropical America.


Monument in Goree

Scary flare ups of yellow fever occurred with the death of half of the ones who had been sickened until the turn of the twentieth century. It was graded a pestilential disease and later a quarantinable one. There are however many "flu like" or milder cases with a much lower fatality rate as it is in the 10% range.

In 1648 the Spaniards in Yucatan were the first to report the disease. They named it "plague" but this must be considered as an archaic term which at that point of time was given to many different medical conditions.

As they scoured Tropical America, the Caribbean and also Sub Saharan Africa the French happened to come across this scourge. In 1778 in St Louis, Senegal which is a city located at the mouth of the Senegal river, J.P. Schotte gave it the scholarly but short lived designation of "Synochus Atrabilosa".

In 1763 already, colonization of French Guiana had been confronted with Yellow Fever which was then named "amaril typhus". Survivors fled to the Devil Islands, which are located in the open sea, east of Kourou and afterwards, these islands became known as the Refuge Islands ("Iles du Salut").

During the nineteenth century three epidemics were widely talked about :

 In 1802 Napoleon assigned his brother in law General E. Leclerc with his thirty thousand men to Dominica to quell Toussaint-Louverture’s uprising. Only a small number of them were able to make it back home as they were the only survivors of an outbreak of yellow fever which had claimed Leclerc’s life.

 The 1878 outbreak in Senegal among others claimed the life of 21 physicians and pharmacists. There was only one who survived. Two steles, the first one in St Louis, Senegal, the other one in the island of Gorée which is in the open sea, west of Dakar, are there to show the respects which are paid to physicians who fulfilled their duties among populations and at the bedside of patients to such an extent that they finally wound up as victims of the disease.

 In 1889 the Panama Canal digging had to be given up by the French because of Yellow Fever.


The forerunners of colonial physicians reported the symptoms of the disease and identified it in the maze of many other tropical fevers. In infirmaries, mobile field hospitals and lazarets, Navy medical officers showed the kind of painstaking and skilled clinicians they were. Their reports are still today high valued ones.

Dutrouleau*’s written works supplemented by those of Beranger-Feraud* are still accepted as standard reference works. As far as the common case is concerned they identified two successive phases in the course of the disease :

 The red one when the patient is running a fever, is restless and crippled by pain. His face and eyes are flushed and red.

 The second one dubbed the yellow or the icteric one, gave its name to the disease (amarillo means yellow in Spanish). It starts on the fifth day. The patient’s eyes turn yellow, he throws up blackened blood dubbed "black vomit", his urine becomes scarce or even absent because of renal failure and the ensuing death occurs sometime between the 4th and 11th day after the onset.

This disease was a cause of concern for all physicians who were on assignment in Sub Saharan Africa but especially those posted in rural areas as they had to treat or to prevent it. It did not happen to all of them to have to live amid an epidemic focus but through their presence and vigilance they were sentinels who kept watching out for epidemics.

In his lonely medical facility a young physician who was posted in the outback ("bush doctor") carried out the examination of patients, especially those who were running a fever and made authorities aware of any unusual number of fatalities in a village. In so doing he was providing an epidemiological watch. As soon as the Dakar Pasteur Institute vaccine became available, then this physician became in charge of carrying out the combined immunization program of the district’s whole population with both yellow fever and smallpox vaccines which had been mixed together before their inoculation. Later on, the Major Endemic Diseases Department took over the implementation of these programs of vaccination.

Finally the Public Hygiene Department which was concerned by malaria as well as by yellow fever had to look after the sanitation of villages by the destruction of mosquitoes and through seeking out the places where they had laid their eggs such as stagnant water pools and home water tanks.

Vehicles Mosquito Clearing

Should we remind our browsers that any loosening in these vaccination programs or of the sanitation enforcement made the region at risk of going through a new outbreak ?


In 1884, Carlos Finlay in Cuba suspected the role which mosquitoes could have in the transmission of the disease to humans. It should also be noted that thirty years earlier in 1854 a French and Venezuelan physician named Louis Daniel Beaupertuy (1807-1871) in Venezuela had already claimed that yellow fever was mosquito borne and therefore he had recommended the use of a mosquito net at night. He was the grandson of "an apothecary" and the son of "a medical officer" of the French Royal Navy who both had been on assignment at the military hospital in the Guadeloupe Island. The Academy of Sciences in Paris did not attach any value to Beauperthuy’s works which he published, among some other journals, in the academy’s own magazine but finally his claim went unnoticed.

In 1901 a US mission which was headed by Walter Reed confirmed Finlay’s assumption and designated a mosquito belonging to the Aedes genus as the transmitting agent. Around the same time France had commissioned P.L. Simond* and E. Marchoux* to go on assignment to Brazil for a four year long scientific mission. They also confirmed the role of this mosquito and beside their research work, these Colonial Army medical officers took an active part in the fight against an epidemic which was then in full swing in Rio de Janeiro. Marchoux was awarded the distinction of "Honorary Citizen" of the town.

As far as the isolation of the virus is concerned it took place simultaneously in 1927 with a British scientist named A.Stokes in Ghana and with C.Mathis* and J.Laigret* who were two French researchers of the Dakar Pasteur Institute.



Informing the international community of any case of yellow fever is an obligation so that one has to be fully aware of both the importance and the severity of this diagnosis. It is based on laboratory tests with mostly the examination of a liver sample by a pathologist after it has been taken from the corpse of an individual deceased with suspected yellow fever. This sample has to be shipped from the place in the outback where it was taken to the main city.

During the 1965 Senegalese epidemic, R. Camain* at Dakar Pasteur Institute had the opportunity of updating the data regarding the hepatic lesions which are specific to yellow fever and in particular those which are found at the initial stage of the disease.

The second way we have to be absolutely certain of the accuracy of the diagnosis is with the isolation of the virus from a blood sample or from tissue samples which have been taken during the autopsy. This has to be done in a laboratory which is supplied with the adequate equipment.

There is now a serology test which provides a result within a few hours but virus isolation remains the only internationally accepted standard for claiming that there is somewhere a yellow fever focus.

Getting huts cleared of mosquitoes

In the Dakar and Abidjan Pasteur Institutes, Lhuillier* developed a test for a quick identification of IgM antibodies in a blood sample taken from a patient who is suspected with yellow fever. Within one hour or so the diagnosis is confirmed or at least deemed very likely or it can be ruled out. This can help to sketch the frontline of an outbreak and to concentrate prevention and vaccination efforts in places which are endangered.


An American scientist named Max Theiler succeeded in adapting to mice the viral strain which Mathis* and Laigret* had isolated in Dakar in 1927. The development of the first vaccine took place subsequently with the cooperation of Laigret* and of another American scientist by the name of A.W.Sellards.

In 1939, M. Peltier* C. Durieux*, H. Jonchére* and E. Arquié* developed a more efficacious one which was better tolerated and it became known as the "Dakar Pasteur Institute Vaccine". Its administration through a skin scarification was easy and it could be associated with the smallpox vaccine. During the nineteen forties with the implementation of programs of immunization among the whole populations in the African colonies, yellow fever vanished. Unfortunately the use of this vaccine was accountable for severe and even lethal cases of meningo-encephalitis. Its use was at first limited to individuals who were over twelve years of age and later in 1967 it had to be abandoned.

Vaccinating nurse

It was replaced by one which is still used today which is the "Rockefeller 17D vaccine". It was also developed by Max Theiler and is still considered as a perfectly valid one. It is delivered to individuals who are over the age of one through a subcutaneous injection. Its tolerance is excellent and it induces a long-lasting immunity which lasts at least ten years. As its inactivation by heat is a drawback, now it has become standard practice to supplement it when it is manufactured at the Pasteur Institute in Dakar with an excipient which was developed at the Paris Pasteur Institute (Barme) which supplies an excellent thermo-stability. With its own production the Pasteur Institute in Dakar is now able to provide all facilities in French speaking countries of Africa with all the vaccine they need and in so doing brings its contribution to the protection of this continent. Immunization with the same vaccine dubbed the amaril vaccine is now required by international regulations for those who travel to Sub Saharan Africa or to Tropical America.


Studying the outbreaks which took place across the world supplied the information relevant to the means of circulation of the virus. Yellow Fever is a disease that affects monkeys. It is transmitted from an infected animal to the next one through mosquito bites and this is known in French medical literature as the "cycle in the wild" and as "jungle yellow fever" in the English one with the following pattern :

Infected monkey ---> Mosquito ---> Healthy monkey.

Areas of amaril endemicity

This "jungle yellow fever" cannot be eradicated and humans are intruders in this cycle. After a non immunized individual is bitten by a mosquito carrying the virus on the occasion of a trip to the wilderness, or with the intrusion of an infected monkey in a village where it gets bitten by a mosquito, then the first human cases occur and mosquitoes will spread the disease.

Vaccination provides a protection which lasts over ten year. After a vaccination campaign, populations are no longer receptive to the disease and are fully safe, so that epidemics become rare and whenever one occurs it is going to be short-lived. There are still some flare ups which persist as according to the data compiled by the WHO, each year there are two hundred thousand non vaccinated individuals who catch the disease with thirty thousand fatalities.

Raising Aedes Mosquitoes

All measures to be taken for Yellow Fever control have been codified in a text which is known as "the International Sanitary Regulations" which has been passed by the international community.

Protection of the world implies that specialized facilities which are located in affected areas keep watching out. For many years now, the Dakar Pasteur Institute has been one of the four "WHO Regional Reference Centres" which are in charge of keeping the disease under control. Today the monitoring system which was started by the time of colonization is still in operation.

Teams of Scientists of the Pasteur Institute and of the French Institute for Overseas Scientific Research are in charge of monitoring the virus circulation among humans and monkeys with serial serum testing and also with catching carrying vectors with traps and human baits. In 1965 Pasteur Institute scientists who were members of the Colonial Medical Corps have set up procedures and practical programs of action.

Across Africa many colonial biologists took an active part in the programs to fight the disease.

The vaccine which is in use now, is efficacious against all strains of the amaril virus. Research has nevertheless to be carried on in order to sequence the virus as accurately as possible and to develop new vaccines. The Tropical Medicine Institute of the Armed Forces with the Institute of Molecular Biology at the Pharo in Marseilles take an important part in this high tech research program (Nicoli* and Coll*).

On the grounds of his fame, a colonial Pasteur Institute alumnus by the name of P. Bres*, was assigned to the head the Arbovirus and Yellow Fever Department of WHO, in Geneva, which he ran from 1970 to 1981.

Vaccination with the Ped-o-Jet Device

The achievements of the Colonial Medical Corps were largely successful as within its range of influence there has been no flare up similar to the ones of the nineteenth century. As long as the same kind of coverage of populations which was provided by the Corps is carried on, reports of large epidemics of Yellow Fever will be found only in history textbooks. But since 1965 there is a lack of regularity in the implementation of the vaccination campaigns, small epidemics can occur now. There are an estimated two hundred thousand cases a year with around thirty thousand fatalities.

For further information :

 A.F. Dutrouleau : Traité des maladies des européens dans les pays chauds. 1 vol. 607 p. Edit. Baillière Paris 1861.
 L.S.B. Béranger-Féraud : Traité théorique et clinique de la fièvre jaune. 1 vol. 985 p. Edit. Doin Paris 1890.
 E. Marchoux et P.Simond : La fièvre jaune. (Rapport de la mission française) Bull. Inst. Pasteur 1904,2,1-10 et 49-52. Ann. Inst. Pasteur 1906, 20,16-40,104-148,161-205.
 Ch. Joyeux et A. Sice : La fièvre jaune. In Précis de médecine coloniale p.701. Collection de précis médicaux, Edit. Masson et Cie Paris 1937.
 P. Navaranne : Une épidémie coloniale ayant tourné à la catastrophe épidémiologique : Saint-Domingue. Thèse n°59, 10 juin 1943, Montpellier.
 M. Peltier : La fièvre jaune. In Médecine tropicale par M. Vaucel . p. 959. Edit. médicales Flammarion. Paris 1952.
 R. Camain et D. Lambert. Une épidémie de fièvre jaune au Sénégal en 1965 : Histopathologie des foies amariles prélevés post-mortem et par biopsies. Bull.OMS. 1967, 36, 129-136.
 M. Sankale et I. Diop-Mar : La fièvre jaune. Conc. méd. 1976,98,8,1047.
 F. Rodhain : Arboviroses Encyclopédie médico-chirurgicale. Maladies infectieuses, 8-062-A 10. 1995, 16p.
 J.P. Digoutte, M. Cornet, V. Deubel, W.G. Downs. : Yellow fever. Kass handbook of infectious diseases. Exotic viral infections. Edited by Porterfield J.S., Chapmann and hall medical p.67-102.